Concepts of Strategy
Internal & External Analyses
Business & Corporate Level Strategy
Mergers, Acquisitions, & Alliances
Corporate Governance

What is strategy?

Central integrated, externally oriented concept of how the business will achieve its objectives.


What are two tools for internal analysis and four tools for external analysis?

Internal: RBV, value chain analysis

External: PESTEL, Porter's Five Forces, Strategic Groups, SWOT Analysis


What is diversification? Also distinguish between related and unrelated diversification.

Diversification: when a firm operates in two or more lines of business (SBUs).

Related: Revenue is spread across multiple SBUs with overlapping value chain activities.

The following is a DFT calculation (PBE+U) of BaYMn2O5 after structural relaxation.

abc: 3.9766 3.9766 7.7866
angles: 90.00 90.00 89.99
Fractional positions:
Ba (0.0000, 0.5000, 0.0000)
Y (0.0000, 0.5000, 0.5000)
Mn (0.5000, 0.0000, 0.2671)
Mn (0.5000, 0.0000, 0.7330)
O (0.5000, 0.0000, 0.0000)
O (0.0000, 0.0000, 0.3184)
O (0.5000, 0.5000, 0.3184)
O (0.0000, 0.0000, 0.6816)
O (0.5000, 0.5000, 0.6816)

VASP energy: -7.756 eV/atom
corrected total energy (MP2020 scheme): -8.508 eV per atom
Back to the entry =

Unrelated: Revenue is spread across multiple businesses with no overlap in value chain activities.


What is an acquisition?

One firm buys a controlling stake in another firm. The acquiring firm intends to make the acquired firm a subsidiary business within its portfolio.


What is corporate governance?

Mechanisms used to manage relationships among stakeholders and to determine and control the strategic direction of organizations.


What is the difference between strategy formulation and strategy implementation?

Formulation: what we are going to do?
Implementation: how are we going to do it?


What is the difference between internal and external strategic analysis?

Internal analysis looks within the firm to match the firm's resources and capabilities with its opportunities and threats.

External analysis looks outside the firm to assess what elements in the firm's macro environment might influence the firm's strategy.


What is the difference between business-level and corporate-level strategy?

Business-level strategy focuses on how a firm will achieve its objectives within a particular industry or segment.

Corporate-level strategy can involve multiple industries or segments.


What is the difference between a merger and a joint venture?

Merger: Two firms agree to integrate their operations on a relatively co-equal basis.

Joint venture: Two firms create a legally independent company by sharing resources and capabilities, JV typically has a defined scope and duration.


What are three key goals of corporate governance?

1) Prioritize shareholders
2) Avoid managerial opportunism
3) Avoid information assymetry


Is this a complete strategy?: To be the low-cost provider. Why or why not?

No, it is an isolated initiative, not an integrated concept that answers how a firm will achieve its objectives.


When the force of any one of Porter's Five Forces increases, what is the impact on profitability and why?

Impact: decrease in profitability

Why: prices decrease while costs increase


What are some pitfalls of pursuing cost leadership and differentiation strategies (separately)?

Cost leadership:
1) cost cutting leads to the loss of desirable features
2) too much focus on a few value-chain activities
3) rivals share a common input or raw material
4) strategy is imitated too easily

1) uniqueness might not be valuable
2) too much differentiation can be problematic
3 too high a price premium to make money
4) some differentiation can be easily imitated


Compare and contrast the three types of strategic alliances in terms of their ownership structures.

Joint venture: Two firms create a legally independent company by sharing resources and capabilities (partner firms jointly own and operate the new entity).

Equity strategic alliance: partners who own different percentages of equity in a separate company they have formed.

Nonequity strategic alliance: Two firms develop a contractual relationship to share their resources and capabilities (no independent third company is created).


What are three internal corporate governance mechanisms? Briefly explain what each entails.

1) Ownership concentration: Stock owned by individual shareholders and institutional investors
2) Board of directors: Represent firm’s owners by monitoring managers’ strategic decisions
3) Executive compensation: Salary, bonuses, long-term incentives to align managers’ and shareholders' interests


How can I test the quality of my strategy? What are some questions I can ask?

1) Does your strategy fit what's happening in the environment?
2) Does your strategy exploit your key resources?
3) Will your differentiators be sustainable?
4) Are the elements of your strategy internally consistent?
5) Do you have enough resources to pursue this strategy?
6) Is your strategy implementable?


What are the drivers of competitive advantage and what is the criteria for a sustainable competitive advantage?

Drivers: resources and capabilities

Criteria: valueable, rare, imitable, non-substitutable


What are the three types of business-level strategies and what do they each entail?

1) Cost leadership: provide similar value at lower cost to a broad population
2) Differentiation: provide a unique and desirable perceived value to a broad population
3) Focus: provide a targeted product or service for a narrow, distinct market segment

*You should also know how managers would go about achieving success through each of these


What are two tests you can do to help ensure you do not overpay for an asset you are looking to acquire? What do these tests tell you?

1) ABC Test: attractiveness of the industry, better off? (synergies and strategic fit), and cost of entry.

2) BCG Matrix: evaluates a company’s portfolio of businesses based on market share and growth potential (stars, question marks, cash cows, and dogs).


What are four items a shareholder could find in a proxy statement?

1) Board of director nominations/background information
2) Executive compensation details
3) Corporate governance policies/proposed changes
4) Auditor selection and financial disclosures


Identify the five elements of the strategy diamond and the types of questions they ask.

1) Arenas: where will we be active?
2) Vehicles: how will we get there
3) Differentiation: how will we win?
4) Staging: what will be our speed and sequence of moves?
5) Economic logic: how will we profit?


Compare the elements of PESTEL with the elements of Porters Five Forces.

PESTEL: political, economic, social, technology, environmental, and legal.

Porters Five Forces: threat of new entrants, bargaining power of buyers, threat of substitutes, bargaining power of suppliers, rivalry among existing competitors.


Discuss the benefits and detriments of diversification.

Benefits: synergies, economies of scope (economic factors that lead to cost savings through successfully sharing resources), increase market power.

Detriments: Potential loss of focus, core competency dilution, increased complexity & management challenges.


Under what circumstances would it be best to acquire as opposed to form an alliance?

1) Full control over operations, strategy, and intellectual property is necessary.
2) The target company provides a competitive advantage that justifies the cost.
3) Integration of supply chains or customer base offers long-term synergy.
4) The industry is consolidating, and acquisition prevents losing market share.


Who are the stakeholders involved in the agency relationship? What are some of the challenges that result from the separation of ownership and management within a firm?

Stakeholders: shareholders/owners (principals) and managers (agents)

1) Principal and agent have different interests
2) Individual shareholders typically lack direct control of firm
3) Agent makes decisions that result in the pursuit of goals that conflict with those of the principal
4) It is difficult or expensive for the owner to always monitor the manager
